Posts tagged happiness
The Secret of Life

Of course I really don’t know the secret of life, but I have learned the hard way we make life more difficult than it has to be. To me, the answers you seek come when you stop trying to be something or someone you are not, when you quit wishing or thinking you need to be different than you already are. Accepting who you are, just as you are, is the key to greater happiness.

I wish my formative years in school had taught me more about how to figure out who I was at my core, or showed me how to embrace and utilize the talents that made me unique, instead of instilling a feeling of lack in me because of my differences. For years I tried so hard to be like everyone else, only to find I didn’t even like the person I became. I wanted in that moment of realization to go back to the days of my youth, before I convinced myself I was not enough, to sit under my favorite tree and breathe, daydream, and just be happy in my own skin. It was in those early years and those quiet moments I recall not “trying” at anything, and in those times of just “being”, I was happy and I was enough.

After I started on my ridiculous quest to be “perfect”, the noisy voice in my head constantly told me I needed to do better. I was always striving, achieving, comparing, and judging myself against everyone I met. I kept myself busy “doing”, so the mean voice would have nothing to complain about. It didn’t stop her, and it became overwhelmingly exhausting to stay ahead of the inner reproach I heard. When I came across a person with great natural talent, I did not celebrate their talent with them as I should have, I worried that I did not possess the same. I judged myself and deemed myself lacking in every area. It went on so long I truly believed I had no natural talents at all, and considered myself a failure.

I wish I had been taught at a young age that talent comes in all shapes and sizes, that not everyone needs to like or be smart at math, to remember dates in history, or to know their geography. If I could gather up all the time I wasted trying to shore up my weaknesses and instead had focused it on what I did easily, what might be different for me today? Maybe I would have written that book by now. Why do we not show our little ones that natural talents can be things like inclusivity, empathy, creativity? My sensitivity is a natural talent; I understand that now. Being highly sensitive to your surroundings, to energy around you, knowing what people mean even if they aren’t speaking the words out loud, seeing the big picture, making connections quickly, having the ability to adjust things to make others feel comfortable, those are not things everyone is born able to do. I wish I would have accepted these as my natural talents a long time ago.

Certain talents are more outwardly recognized and appreciated, especially in work situations. But all talents deserve to be applauded and utilized. In my opinion a baker who creates unique creations without a recipe is just as talented as a robotics engineer. We all have our own innate abilities, and those are what make us unique beings. I believe everyone is their happiest when they are working from their strengths.

I guess what I am really saying is, the secret to happiness is within all of us. We all need to uncover, discover and utilize our own natural talents. The talents that lie deep within us need to be shared in order for us to shine. Life is not supposed to be lived continually swimming upstream, rather it should be doing what we do best, and flowing through life with happiness and ease.

I hope in leading by example I can illuminate this lesson to others; the power is within you. Are you ready to unlock your own secret of life, find your natural talents, and put them to use? The time is NOW.

Growing Into Me

Photo Credit: Terri Spaulding

You know how thinking back over time you can recognize life changing moments, doors that you went through that changed your life forever?

I had one today.

Someone I love (but haven't seen for a while) asked me how I was doing via a short text conversation.

(Data records that have nothing to do with the page)
'''
# 1
Structure and simulated powder XRD pattern of RbZr12Te16 (a structure optimized by DFT (GGA-PBE); Cu Kα (weighted mean of Kα1 and Kα2)).
Peak positions follow from Bragg's law for the DFT cell and can differ from measured ones.

Largest 6 diffraction maxima, in order of rising 2θ, 2θ = 10–90°:
2θ (°)  I_rel  h k l
27.62  57  3 0 0
29.16  36  2 0 4
33.34  100  3 1 0
39.46  41  2 2 4
46.88  39  3 2 4
72.30  24  3 5 4

Structural model:
abc: 11.1945 11.1945 15.7992
angles: 90.00 90.00 120.00
Space group P-6 (No. 174)
Asymmetric unit:
Rb: 0.0000 0.0000 0.2242 (multiplicity 2)
Zr: 0.1245 0.4926 0.1245 (multiplicity 6)
Zr: 0.1249 0.4929 0.3755 (multiplicity 6)
Zr: 0.4903 0.3659 0.2501 (multiplicity 6)
Zr: 0.4907 0.3655 0.5000 (multiplicity 3)
Zr: 0.4917 0.3665 0.0000 (multiplicity 3)
Te: 0.0559 0.7111 0.1244 (multiplicity 6)
Te: 0.0559 0.7115 0.3754 (multiplicity 6)
Te: 0.3333 0.6667 0.0000 (multiplicity 1)
Te: 0.3333 0.6667 0.2499 (multiplicity 2)
Te: 0.3333 0.6667 0.5000 (multiplicity 1)
Te: 0.3464 0.0553 0.5000 (multiplicity 3)
Te: 0.3457 0.0556 0.0000 (multiplicity 3)
Te: 0.3483 0.0557 0.2504 (multiplicity 6)
Te: 0.6667 0.3333 0.1252 (multiplicity 2)
Te: 0.6667 0.3333 0.3750 (multiplicity 2)

***

# 2
Structure and simulated powder XRD pattern of Rb8ZrTe6 (a structure optimized by DFT (GGA-PBE); Cu Kα (weighted mean of Kα1 and Kα2)).
Peak positions follow from Bragg's law for the DFT cell and can differ from measured ones.

Largest 6 diffraction maxima, in order of rising 2θ, 2θ = 10–90°:
2θ (°)  I_rel  h k l
20.50  52  2 0 2
22.28  70  0 2 2
23.70  53  1 2 2
30.36  50  0 3 2
30.99  100  3 0 3
32.29  43  4 0 0

Structural model:
abc: 11.0957 9.7540 13.8801
angles: 90.00 90.00 90.00
Space group Pmn2_1 (No. 31)
Asymmetric unit:
Rb: 0.0000 0.1487 0.0000 (multiplicity 2)
Rb: 0.0000 0.1605 0.5154 (multiplicity 2)
Rb: 0.1735 0.5142 0.1607 (multiplicity 4)
Rb: 0.1831 0.6693 0.8627 (multiplicity 4)
Rb: 0.1982 0.9378 0.2406 (multiplicity 4)
Zr: 0.0000 0.6813 0.5595 (multiplicity 2)
Te: 0.0000 0.2321 0.2671 (multiplicity 2)
Te: 0.0000 0.4509 0.6789 (multiplicity 2)
Te: 0.0000 0.7880 0.0587 (multiplicity 2)
Te: 0.0000 0.8959 0.6927 (multiplicity 2)
Te: 0.2046 0.6837 0.4452 (multiplicity 4)

***

# 3
Structure and simulated powder XRD pattern of RbTi (a structure optimized by DFT (GGA-PBE); Cu Kα (weighted mean of Kα1 and Kα2)).
Peak positions follow from Bragg's law for the DFT cell and can differ from measured ones.

Largest 6 diffraction maxima, in order of rising 2θ, 2θ = 10–90°:
2θ (°)  I_rel  h k l
24.29  79  2 1 0
25.35  100  2 0 3
28.68  61  0 1 3
41.16  42  4 1 3
47.63  33  2 2 3
49.42  32  2 1 6

Structural model:
abc: 12.3633 4.5496 12.8062
angles: 90.00 90.00 90.00
Space group Pnma (No. 62)
Asymmetric unit:
Rb: 0.1140 0.2500 0.2489 (multiplicity 4)
Rb: 0.1561 0.2500 0.9129 (multiplicity 4)
Ti: 0.0409 0.7500 0.5160 (multiplicity 4)
Ti: 0.1298 0.2500 0.5841 (multiplicity 4)

***

# 4
'''

And I immediately answered back: I'm the best I have ever been.

And damn if I didn't mean it. Wholeheartedly. Honestly. Joyfully.

I am doing great. I feel good. NO, I feel great. I feel at peace. I feel purposeful. I feel loved. I feel happy. I feel at ease with me.

It is the best feeling in the world. It is like I got new glasses with a stronger prescription and I can finally see the leaves on the trees again.

Everything is beautiful. Everything makes sense. Everything is going to be okay.

Just needed to share this so I never forget. And so you'd know there is always hope that you can make changes for the better, too.

Is it Time to Change Your Channel?

Did you know that all energy vibrates at a frequency? And your thoughts and feelings are what determine your personal frequency?

Within each of us we hold the power to attract good things into our lives. And all it takes to attract good things is to think positive thoughts. Conversely, if we let our negative thoughts rule our heads, we will begin to attract negative things. Becoming aware of the patterns and paths of our innermost thinking is a key ingredient to begin steering our life in the direction of our dreams.

I do not mean to insinuate that this process is easy, far from it, in fact. From experience I have learned that it isn't easy to change old habits and thinking patterns when you are aware of them. Imagine then, how impossible it would be for those who fail to pay attention to what they are really thinking. Getting out of a negative spiral is darn near impossible if we are sabotaging ourselves with second guessing, perfectionism, doubt, fear or criticism. Staying out is even harder.

In the past when things haven't been going my way --- say a new job is stressful, an old boss just doesn't get me, or I feel out-of-place amongst a group--- things always seem to get way worse, before they get better. Little did I know that I was in control of the speed at which good things began reappearing in my life, all I needed to do was control my own thoughts.

Unrelated to this page: data records:
~~~
(1)
Diffraction record for Pm3Ho. The X-ray diffraction stick pattern is simulated, not measured: it uses a structure optimized by DFT (GGA-PBE) and Cu Kα X-rays.
Lines closer than 0.1° are merged.

Crystal structure
```
Pm3Ho
1.0
7.301 0.000 0.000
-3.651 6.323 0.000
0.000 0.000 5.924
Pm Ho
6 2
Direct
0.168 0.335 0.250
0.168 0.832 0.250
0.335 0.168 0.750
0.665 0.832 0.250
0.832 0.168 0.750
0.832 0.665 0.750
0.333 0.667 0.750
0.667 0.333 0.250
```

Principal peaks in the range 15° ≤ 2θ ≤ 90°, by intensity:
| 2θ (°) | I (rel.) |
| --- | --- |
| 32.1 | 100 |
| 30.2 | 26 |
| 28.2 | 23 |
| 59.5 | 23 |
| 54.8 | 22 |
| 50.0 | 19 |
| 60.6 | 16 |
| 41.8 | 16 |

---

(2)
Diffraction record for Pm3Ho. The X-ray diffraction stick pattern is simulated, not measured: it uses a structure optimized by DFT (GGA-PBE) and Cu Kα X-rays.
Lines closer than 0.1° are merged.

Crystal structure
```
Pm3Ho
1.0
-2.556 2.556 5.162
2.556 -2.556 5.162
2.556 2.556 -5.162
Pm Ho
3 1
Direct
0.000 0.000 0.000
0.250 0.750 0.500
0.750 0.250 0.500
0.500 0.500 0.000
```

Principal peaks in the range 15° ≤ 2θ ≤ 90°, by intensity:
| 2θ (°) | I (rel.) |
| --- | --- |
| 30.2 | 100 |
| 35.1 | 33 |
| 60.0 | 29 |
| 50.2 | 24 |
| 34.8 | 17 |
| 59.5 | 15 |
| 62.8 | 12 |
| 50.5 | 12 |

---

(3)
Diffraction record for PmHo. The X-ray diffraction stick pattern is simulated, not measured: it uses a structure optimized by DFT (GGA-PBE) and Cu Kα X-rays.
Lines closer than 0.1° are merged.

Crystal structure
```
PmHo
1.0
3.643 0.000 0.000
-1.822 3.155 0.000
0.000 0.000 5.769
Pm Ho
1 1
Direct
0.000 0.000 0.000
0.333 0.667 0.500
```

Principal peaks in the range 15° ≤ 2θ ≤ 90°, by intensity:
| 2θ (°) | I (rel.) |
| --- | --- |
| 32.3 | 100 |
| 31.0 | 25 |
| 28.3 | 24 |
| 60.1 | 23 |
| 56.0 | 21 |
| 50.1 | 20 |
| 60.9 | 16 |
| 42.5 | 16 |

---

(4)
Diffraction record for PmHo3. The X-ray diffraction stick pattern is simulated, not measured: it uses a structure optimized by DFT (GGA-PBE) and Cu Kα X-rays.
Lines closer than 0.1° are merged.

Crystal structure
```
PmHo3
1.0
7.258 0.000 0.000
-3.629 6.286 0.000
0.000 0.000 5.693
Pm Ho
2 6
Direct
0.333 0.667 0.250
0.667 0.333 0.750
0.165 0.331 0.750
0.165 0.835 0.750
0.331 0.165 0.250
0.669 0.835 0.750
0.835 0.165 0.250
0.835 0.669 0.250
```

Principal peaks in the range 15° ≤ 2θ ≤ 90°, by intensity:
| 2θ (°) | I (rel.) |
| --- | --- |
| 32.5 | 100 |
| 31.4 | 24 |
| 28.4 | 24 |
| 60.5 | 23 |
| 56.7 | 21 |
| 50.3 | 20 |
| 61.2 | 16 |
| 42.9 | 16 |

---

(5)
Diffraction record for PmHoTl2. The X-ray diffraction stick pattern is simulated, not measured: it uses a structure optimized by DFT (GGA-PBE) and Cu Kα X-rays.
Lines closer than 0.1° are merged.

Crystal structure
```
PmHoTl2
1.0
0.000 3.838 3.838
3.838 0.000 3.838
3.838 3.838 0.000
Pm Ho Tl
1 1 2
Direct
0.000 0.000 0.000
0.500 0.500 0.500
0.250 0.250 0.250
0.750 0.750 0.750
```

Principal peaks in the range 15° ≤ 2θ ≤ 90°, by intensity:
| 2θ (°) | I (rel.) |
| --- | --- |
| 33.0 | 100 |
| 59.0 | 39 |
~~~

If you attract back to you the very things you think about, then even saying negative things out loud can call more negative to you. For example:

  • I hate my job. More reasons to hate it come at you.
  • No one here likes me. More dislike is directed at you.
  • This is ridiculous. More ridiculousness comes your way.
  • I can't do this. More things you can't do come across your path.
  • I don't want to be here. More reasons pile up for you to want to leave, even things you once liked about your job.

Wherever your innermost thoughts are going they send out a vibration (a frequency) that attracts more of the same. Take a look around, are things going exactly like you wish them to in your life? If not, maybe it is time to re-examine what you are actually thinking about.

Question of the Week #34/ What is your Frequency?

Are you attracting what you want into your life? Try making positive changes in the way you think and see if positive changes begin happening. If you simply pay lip service to your new thoughts and don't really believe in them, or deep down think this crap won't work --then it won't. Your negative inner voice will steal the show. So make sure you can believe what you think.

This week I had the awesome experience of leading a vision board workshop at Gilda's Club.I have never been more inspired by a group of women. While I sometimes have a hard time answering the dreaded question "Who inspires you?" I found my answer there---real, authentic, regular everyday women telling their stories, baring their souls, expressing their fears and finding hope for their future. What a moving thing for a facilitator to experience.  There is no greater feeling for me.

Once upon a time it was only in my wildest dreams that I thought I could make a living using my natural talents to help people find whole body, mind + spirit wellness. Now, with positive thinking, it has become my life. Positive thinking = positive results.

Do you wish to begin operating at a higher frequency? If so, it is never too late.


How Happy Are You (Really)? / Question of the Week #12


"I'm fine." We say it often, but do we really mean it?

It is sometimes code for 'I'm not great but it's easier for all if we just pretend things are okay'. (Or at least that is how it seems to me.)

Last year I listened to a book on cd called "Happy For No Reason" by Marci Shimoff. While I won't say it changed my life, other things did that, I will say I was inspired by the book and learned a lot from it.

This week's question comes from that book.

How Happy Are You?/ Question of the Week #12

Take the Happy for No Reason Questionnaire (taken directly from the book Happy For No Reason).

 Rate each statement on a scale of 1 to 5:

1 = Not at all true

2 = Slightly true

3 = Moderately true

4 = Mostly true

5 = Absolutely true


1. I often feel happy and satisfied for no particular reason.

1 2 3 4 5

2. I live in the moment.

1 2 3 4 5

3. I feel alive, vital, and energetic.

1 2 3 4 5

4. I experience a deep sense of inner peace and well-being.

1 2 3 4 5

5. Life is a great adventure for me.

1 2 3 4 5

6. I don’t let bad situations keep me down.

1 2 3 4 5

7. I am enthusiastic about the things I do.

1 2 3 4 5

8. Most days I have an experience of laughter or joy.

1 2 3 4 5

9. I trust that this is a friendly universe.

1 2 3 4 5

10. I look for the gift or the lesson in everything that


1 2 3 4 5

11. I am able to let go and forgive.

1 2 3 4 5

12. I feel love for myself.

1 2 3 4 5

13. I look for the good in every person.

1 2 3 4 5

14. I change the things I can and accept the things I

can’t change.

1 2 3 4 5

15. I surround myself with people who support me.

1 2 3 4 5

16. I don’t blame others or complain.

1 2 3 4 5

17. My negative thoughts don’t overshadow me.

1 2 3 4 5

18. I feel a general sense of gratitude.

1 2 3 4 5

Between two parts of the page: materials data:
=====
Computed powder diffraction line list
Compound: AcHoMoO6
Radiation: Cu Ka
Structure: DFT lattice parameters and positions (PBE+U)

The 8 most intense peaks (5 to 70 degrees two-theta), by intensity:
2θ (°), I_rel, index
25.06, 100, 1 0 1
32.08, 40, 1 1 0
47.60, 38, 2 -1 2
41.14, 26, 2 0 1
53.10, 26, 3 -1 1
57.19, 12, 3 0 0
55.96, 11, 1 0 3
34.21, 9, 0 0 2

Structure:
```
data_AcHoMoO6
_chemical_formula_sum 'Ac1 Ho1 Mo1 O6'
_space_group_name_H-M_alt 'P 3 1 2'
_space_group_IT_number 149
_cell_length_a 5.5799
_cell_length_b 5.5799
_cell_length_c 5.2423
_cell_angle_alpha 90.00
_cell_angle_beta 90.00
_cell_angle_gamma 120.00
loop_
_space_group_symop_operation_xyz
'x,y,z'
'-y,x-y,z'
'-x+y,-x,z'
'-y,-x,-z'
'-x+y,y,-z'
'x,x-y,-z'
loop_
_atom_site_label
_atom_site_type_symbol
_atom_site_fract_x
_atom_site_fract_y
_atom_site_fract_z
Ac1 Ac 0.0000 0.0000 0.0000
Ho1 Ho 0.3333 0.6667 0.5000
Mo1 Mo 0.6667 0.3333 0.5000
O1 O 0.3844 0.0375 0.7114
```


Diffraction record for Ta9VO25. The powder diffractogram is computed, not measured: it uses DFT lattice parameters and positions (PBE+U) and copper Kα.
Kinematic intensities with the Lorentz-polarization factor, no thermal factor.

Top 10 peaks for 2θ from 5° to 70°, sorted by position:
| d/Å | I/Imax |
| --- | --- |
| 5.033 | 32 |
| 3.752 | 48 |
| 3.559 | 100 |
| 3.394 | 21 |
| 2.906 | 44 |
| 2.730 | 37 |
| 2.516 | 25 |
| 2.347 | 27 |
| 1.758 | 23 |
| 1.697 | 21 |

Cell and atoms:
abc: 11.4185 11.4185 11.4185
angles: 91.64 91.64 160.53
Positions (direct):
Ta  0.0000  0.0000  0.0000
Ta  0.1006  0.7781  0.8824
Ta  0.1159  0.3193  0.4416
Ta  0.2219  0.1043  0.3225
Ta  0.3257  0.8841  0.2034
Ta  0.6807  0.1223  0.7966
Ta  0.7818  0.8994  0.6775
Ta  0.8777  0.6743  0.5584
Ta  0.8957  0.2182  0.1176
V  0.2500  0.7500  0.5000
O  0.0072  0.2725  0.2896
O  0.0519  0.8845  0.9366
O  0.0827  0.4522  0.5130
O  0.1155  0.0521  0.1674
O  0.1569  0.6458  0.8076
O  0.1830  0.2223  0.3917
O  0.2087  0.8170  0.0393
O  0.2504  0.3903  0.6352
O  0.2824  0.9928  0.2653
O  0.3542  0.1619  0.5111
O  0.3847  0.7496  0.1398
O  0.4303  0.9173  0.3695
O  0.5000  0.5000  0.0000
O  0.5478  0.0608  0.6305
O  0.6097  0.2449  0.8602
O  0.6508  0.8431  0.4889
O  0.7275  0.0171  0.7347
O  0.7551  0.6153  0.3648
O  0.7777  0.1694  0.9607
O  0.8306  0.7913  0.6083
O  0.8381  0.3492  0.1924
O  0.8847  0.9481  0.8326
O  0.9392  0.5697  0.4870
=====
End of the materials data:

19. I feel connected to something bigger than myself.

1 2 3 4 5

20. I feel inspired by a sense of purpose in my life.

1 2 3 4 5

Scoring section:

If your score is 80–100: To a great degree, you are Happy for No Reason.

If your score is 60–79: You have a good measure of being Happy for No Reason.

If your score is 40–59: You have glimpses of being Happy for No Reason.

If your score is under 40: You have little experience of being Happy for No Reason.

When I first took this test over a year ago I had just started my "new" job. I had spent 24 years doing the same job and I was ready and excited for a change. I was happy, especially to be doing something new, to be learning new things, and to be feeling like I could make a difference. I was happy for good reason.

When I retested today I found out that even though I have no "for sure" plan and no steady income, I am even happier today. To a great degree, I am happy for no reason.

According to Shimoff's book you can be:

Unhappy (depressed)

Happy for Bad Reason (like high from addictions---external influences)

Happy for Good Reason (satisfaction from healthy experiences)

Happy for No Reason (inner state of peace and well-being --internal influences)

So how did you score? And how happy are you really? Do you find yourself smiling and energized at random times throughout the day? Do you feel peaceful when you wake up and then again when you go to sleep? Or is your happiness dependent on an external factor or a direct result of something you experienced; a great workout, dinner with friends, a date with your loved one?

Take time to examine your level of happiness and make sure you are working your way toward being happy for no reason. If you aren't anywhere close to being happy--then maybe it is time for a change.

Fore more thoughtful ways to improve your own happiness level I highly recommend getting a copy of the book Happy For No Reason.




Are You Living a Happy Life?

Until recently I would have said, sure I am. Because I was happy in most areas of my life. My husband is rockin' cute, I have more material things than I really need (including a cottage and a boat) my kids are healthy and mostly happy, I have fantastic friends and a super cool extended family. But something still was not quite right. When I said I was happy, something was missing.

For one thing, I had lost the passion I had once had for my job. Now some people say you don't have to have passion for your job, it is after all just a job, a way to pay the bills. And maybe for a while I even convinced myself that this was true and I could handle that. I reasoned that I needed to make money, and could not afford to make a job change and take less than the level I had already achieved, even if it meant I'd be happier.

Luckily for me I came to my senses. I made a change because I realized that being unhappy at work was slowly killing me. It was sapping my energy and attracting negativity back to me. So, I made a switch.

Since the day I quit, I have never looked back. (Okay there was that one day when I was sure I could not handle the pace, but besides that, I have been super sure of my decision!)

Ask me now if I am living a happy life and I will answer with a huge "YES, I am Happy!" because I am now operating on all cylinders.

Passion, purpose + happiness.

I have a job that I love, reasonable goals to achieve to satisfy those I work for, and better yet, a sense that I belong with, and am welcomed by my colleagues. My opinions are considered, my ideas are at the very least given an audience, and best case scenario will someday be utilized. That is a dream come true for me! Combine that with digging the people I work with and for, and you have a recipe for happiness. For me anyway.

Having that happiness makes a huge difference in how I face each day. Postitive attracts positive, and I not only say this, I totally believe this. Because it has happened to me.

Reconsider my question... are you living a happy life?

And then, if need be, don't be afraid to make some changes in your life.